• Job:
Now echo the lines further down up to the one that holds "Pd2 Pd", that line included.

• Excerpt:
The following is a computed XRD peak list of Gd2W2O9. It was derived from DFT lattice parameters and positions (PBE+U), using Cu Kα (λ = 1.5418 Å).
Peak positions follow from Bragg's law for the DFT cell and can differ from measured ones.

Crystal structure
```
data_Gd2W2O9
_chemical_formula_sum 'Gd16 W16 O72'
_cell_length_a 15.757
_cell_length_b 11.929
_cell_length_c 7.243
_cell_angle_alpha 90.00
_cell_angle_beta 90.00
_cell_angle_gamma 90.00
_symmetry_space_group_name_H-M 'C m c m'
_symmetry_Int_Tables_number 63
_symmetry_space_group_name_Hall '-C 2c 2'
loop_
_atom_site_label
_atom_site_type_symbol
_atom_site_fract_x
_atom_site_fract_y
_atom_site_fract_z
_atom_site_occupancy
Gd1 Gd 0.145 0.233 0.250 1
Gd2 Gd 0.225 0.500 0.000 1
W1 W 0.000 0.000 0.000 1
W2 W 0.000 0.453 0.250 1
W3 W 0.122 0.227 0.750 1
O1 O 0.000 0.058 0.250 1
O2 O 0.000 0.272 0.750 1
O3 O 0.000 0.300 0.250 1
O4 O 0.000 0.500 0.000 1
O5 O 0.086 0.109 0.560 1
O6 O 0.120 0.468 0.250 1
O7 O 0.148 0.318 0.548 1
O8 O 0.213 0.080 0.250 1
O9 O 0.232 0.156 0.750 1
```

Peak list (10 most intense, 10 to 80 degrees two-theta, sorted by position)
| h k l | 2θ/deg | I_rel |
| --- | --- | --- |
| 4 2 0 | 27.13 | 100.0 |
| 0 2 2 | 28.84 | 54.3 |
| 0 4 0 | 29.96 | 32.0 |
| 3 1 2 | 30.92 | 30.6 |
| 4 0 2 | 33.62 | 22.6 |
| 4 4 2 | 45.64 | 33.0 |
| 3 5 2 | 48.89 | 14.0 |
| 0 0 4 | 50.40 | 15.4 |
| 7 3 2 | 53.16 | 13.0 |
| 4 2 4 | 58.17 | 23.2 |

* * * * *

Structure and simulated powder diffraction line list of AcMg9Pd3 (the PBE geometry in Alexandria; Cu Kα, 1.54184 Å).
Lines closer than 0.1° are merged.

Crystal structure
```
data_AcMg9Pd3
_chemical_formula_sum 'Ac2 Mg18 Pd6'
_symmetry_space_group_name_H-M 'C 1 2/m 1'
_symmetry_Int_Tables_number 12
_cell_length_a 5.664
_cell_length_b 14.348
_cell_length_c 7.252
_cell_angle_alpha 90.00
_cell_angle_beta 110.47
_cell_angle_gamma 90.00
loop_
_symmetry_equiv_pos_as_xyz
'x,y,z'
'-x,-y,-z'
'-x,y,-z'
'x,-y,z'
'x+1/2,y+1/2,z'
'-x+1/2,-y+1/2,-z'
'-x+1/2,y+1/2,-z'
'x+1/2,-y+1/2,z'
loop_
_atom_site_label
_atom_site_type_symbol
_atom_site_fract_x
_atom_site_fract_y
_atom_site_fract_z
Ac1 Ac 0.000 0.000 0.000
Mg1 Mg 0.000 0.000 0.500
Mg2 Mg 0.092 0.386 0.217
Mg3 Mg 0.156 0.180 0.330
Pd1 Pd 0.000 0.500 0.500
Pd2 Pd 0.250 0.250 0.000
```

Principal peaks in the range 10° ≤ 2θ ≤ 90°, sorted by position:
2theta, d [Å], I_rel, hkl
13.03, 6.794, 95, 0 0 1
18.32, 4.843, 86, 1 1 -1
24.82, 3.587, 61, 0 4 0
25.42, 3.504, 96, 1 3 -1
26.23, 3.397, 46, 0 0 2
28.13, 3.172, 37, 0 4 1
31.02, 2.883, 50, 1 3 1
35.83, 2.506, 38, 1 5 -1
36.09, 2.489, 82, 2 2 0
36.43, 2.467, 100, 0 4 2
37.13, 2.422, 78, 2 2 -2
52.23, 1.752, 48, 2 6 -2

* * * * *

No. 1
Theoretical powder XRD pattern
Compound: MgMn6O10F2
Radiation: Cu Kα
Structure: a structure optimized by DFT (PBE+U)
Peak positions follow from Bragg's law for the DFT cell and can differ from measured ones.

Cell and atoms:
Unit cell a=5.6927 b=5.8993 c=7.6786 alpha=107.63 beta=98.22 gamma=112.17
Space group P1 (No. 1)
Inequivalent atoms, fractional coordinates:
Mg  0.0000  0.0000  0.0000 [1 per cell]
Mn  0.0002  0.9845  0.4905 [1 per cell]
Mn  0.3460  0.5050  0.3550 [1 per cell]
Mn  0.3842  0.9856  0.8436 [1 per cell]
Mn  0.6446  0.9933  0.1878 [1 per cell]
Mn  0.6927  0.4364  0.6382 [1 per cell]
Mn  0.9892  0.5294  0.0363 [1 per cell]
O  0.0410  0.6853  0.8406 [1 per cell]
O  0.3185  0.2899  0.5041 [1 per cell]
O  0.3580  0.6911  0.1831 [1 per cell]
O  0.4165  0.1416  0.1067 [1 per cell]
O  0.5954  0.8395  0.9119 [1 per cell]
O  0.6603  0.2872  0.8372 [1 per cell]
O  0.7130  0.6692  0.4988 [1 per cell]
O  0.7727  0.1518  0.4595 [1 per cell]
O  0.8917  0.8340  0.2002 [1 per cell]
O  0.9734  0.3059  0.1823 [1 per cell]
F  0.1212  0.1403  0.8026 [1 per cell]
F  0.2539  0.8197  0.5571 [1 per cell]

Peak list (6 most intense, 5° ≤ 2θ ≤ 70°, in order of rising 2θ)
23.5 deg, rel. 100, hkl -1 1 1
27.6 deg, rel. 70, hkl 1 1 -1
35.2 deg, rel. 43, hkl 1 0 2
35.6 deg, rel. 17, hkl 0 1 -3
35.7 deg, rel. 30, hkl 0 2 0

• Here it is:
The following is a computed XRD peak list of Gd2W2O9. It was derived from DFT lattice parameters and positions (PBE+U), using Cu Kα (λ = 1.5418 Å).
Peak positions follow from Bragg's law for the DFT cell and can differ from measured ones.

Crystal structure
```
data_Gd2W2O9
_chemical_formula_sum 'Gd16 W16 O72'
_cell_length_a 15.757
_cell_length_b 11.929
_cell_length_c 7.243
_cell_angle_alpha 90.00
_cell_angle_beta 90.00
_cell_angle_gamma 90.00
_symmetry_space_group_name_H-M 'C m c m'
_symmetry_Int_Tables_number 63
_symmetry_space_group_name_Hall '-C 2c 2'
loop_
_atom_site_label
_atom_site_type_symbol
_atom_site_fract_x
_atom_site_fract_y
_atom_site_fract_z
_atom_site_occupancy
Gd1 Gd 0.145 0.233 0.250 1
Gd2 Gd 0.225 0.500 0.000 1
W1 W 0.000 0.000 0.000 1
W2 W 0.000 0.453 0.250 1
W3 W 0.122 0.227 0.750 1
O1 O 0.000 0.058 0.250 1
O2 O 0.000 0.272 0.750 1
O3 O 0.000 0.300 0.250 1
O4 O 0.000 0.500 0.000 1
O5 O 0.086 0.109 0.560 1
O6 O 0.120 0.468 0.250 1
O7 O 0.148 0.318 0.548 1
O8 O 0.213 0.080 0.250 1
O9 O 0.232 0.156 0.750 1
```

Peak list (10 most intense, 10 to 80 degrees two-theta, sorted by position)
| h k l | 2θ/deg | I_rel |
| --- | --- | --- |
| 4 2 0 | 27.13 | 100.0 |
| 0 2 2 | 28.84 | 54.3 |
| 0 4 0 | 29.96 | 32.0 |
| 3 1 2 | 30.92 | 30.6 |
| 4 0 2 | 33.62 | 22.6 |
| 4 4 2 | 45.64 | 33.0 |
| 3 5 2 | 48.89 | 14.0 |
| 0 0 4 | 50.40 | 15.4 |
| 7 3 2 | 53.16 | 13.0 |
| 4 2 4 | 58.17 | 23.2 |

* * * * *

Structure and simulated powder diffraction line list of AcMg9Pd3 (the PBE geometry in Alexandria; Cu Kα, 1.54184 Å).
Lines closer than 0.1° are merged.

Crystal structure
```
data_AcMg9Pd3
_chemical_formula_sum 'Ac2 Mg18 Pd6'
_symmetry_space_group_name_H-M 'C 1 2/m 1'
_symmetry_Int_Tables_number 12
_cell_length_a 5.664
_cell_length_b 14.348
_cell_length_c 7.252
_cell_angle_alpha 90.00
_cell_angle_beta 110.47
_cell_angle_gamma 90.00
loop_
_symmetry_equiv_pos_as_xyz
'x,y,z'
'-x,-y,-z'
'-x,y,-z'
'x,-y,z'
'x+1/2,y+1/2,z'
'-x+1/2,-y+1/2,-z'
'-x+1/2,y+1/2,-z'
'x+1/2,-y+1/2,z'
loop_
_atom_site_label
_atom_site_type_symbol
_atom_site_fract_x
_atom_site_fract_y
_atom_site_fract_z
Ac1 Ac 0.000 0.000 0.000
Mg1 Mg 0.000 0.000 0.500
Mg2 Mg 0.092 0.386 0.217
Mg3 Mg 0.156 0.180 0.330
Pd1 Pd 0.000 0.500 0.500
Pd2 Pd 0.250 0.250 0.000